My friend Jazzwolf347 and I worked together on this piece. I did the line art and she colored it in. Check her out, she’s super coolio.
┌──
--- A ---
PuUPdAu: relaxed, GGA-PBE.

Results
Crystal system: cubic
D(E_F), states/eV per atom: 1.5031
Calculated density, g/cm3: 16.6

Cell lengths 4.8078, 4.8078, 4.8078 Å; angles 60.00, 60.00, 60.00 degrees
Last column: magnetic moment on the atom in μB.
Fractional coordinates of all 4 atoms:
Au 0.7500 0.7500 0.7500  -0.03
U 0.2500 0.2500 0.2500  1.96
Pd 0.0000 0.0000 0.0000  0.00
Pu 0.5000 0.5000 0.5000  5.08

--- B ---
PuUPdAu: relaxed, GGA-PBE.

Results
Crystal system: cubic
D(E_F), states/eV per atom: 1.3817
Calculated density, g/cm3: 16.6

Cell lengths 4.8103, 4.8103, 4.8103 Å; angles 60.00, 60.00, 60.00 degrees
Last column: magnetic moment on the atom in μB.
Fractional coordinates of all 4 atoms:
Pu 0.2500 0.2500 0.2500  5.09
U 0.5000 0.5000 0.5000  1.97
Pd 0.0000 0.0000 0.0000  -0.06
Au 0.7500 0.7500 0.7500  -0.01

Energetically preferred structure: A | next structure: +10 meV/atom

--- A ---
PuZnPdAu: relaxed, GGA-PBE.

Results
Crystal system: cubic
D(E_F), states/eV per atom: 3.0252
Calculated density, g/cm3: 12.8

Cell lengths 4.8287, 4.8287, 4.8287 Å; angles 60.00, 60.00, 60.00 degrees
Last column: magnetic moment on the atom in μB.
Fractional coordinates of all 4 atoms:
Zn 0.7500 0.7500 0.7500  0.01
Au 0.0000 0.0000 0.0000  0.01
Pd 0.5000 0.5000 0.5000  -0.04
Pu 0.2500 0.2500 0.2500  5.16

--- B ---
PuZnPdAu: relaxed, GGA-PBE.

Results
Crystal system: trigonal
D(E_F), states/eV per atom: 3.9408
Calculated density, g/cm3: 12.4

Cell lengths 4.4561, 4.4616, 5.4199 Å; angles 114.27, 90.00, 119.96 degrees
Last column: magnetic moment on the atom in μB.
Fractional coordinates of all 4 atoms:
Pu 0.6199 0.2398 0.5015  5.27
Zn 0.1073 0.2146 0.9640  0.01
Pd 0.4025 0.8050 0.8498  -0.04
Au 0.8366 0.6732 0.1520  0.01

Energetically preferred structure: B | next structure: +73 meV/atom

--- A ---
RbPdAu: relaxed, GGA-PBE.

Results
Crystal system: orthorhombic
D(E_F), states/eV per atom: 0.1282
Calculated density, g/cm3: 9.3

Cell lengths 5.8086, 5.8086, 5.8086 Å; angles 90.55, 119.39, 119.97 degrees
Fractional coordinates of all 6 atoms:
Rb 0.2500 0.1274 0.8774
Rb 0.7500 0.8726 0.1226
Pd 0.5000 0.5000 0.5000
Pd 0.0000 0.5000 0.0000
Au 0.0000 0.5000 0.5000
Au 0.5000 0.0000 0.5000

--- B ---
RbPdAu: relaxed, GGA-PBE.

Results
Crystal system: orthorhombic
D(E_F), states/eV per atom: 0.4309
Calculated density, g/cm3: 7.9

Cell lengths 8.4048, 8.4048, 6.8474 Å; angles 106.06, 106.06, 123.31 degrees
Fractional coordinates of all 12 atoms:
Rb 0.6250 0.3750 0.2500
Rb 0.1250 0.3750 0.7500
Rb 0.6250 0.3750 0.7500
Rb 0.6250 0.8750 0.2500
Au 0.0882 0.9118 0.5000
Au 0.8382 0.1618 0.0000
Au 0.4118 0.5882 0.5000
Au 0.1618 0.8382 0.0000
Pd 0.1252 0.6252 0.2503
Pd 0.1248 0.1248 0.2497
Pd 0.8752 0.8752 0.7503
Pd 0.3748 0.8748 0.7497

--- C ---
RbPdAu: relaxed, GGA-PBE.

Results
Crystal system: tetragonal
D(E_F), states/eV per atom: 0.3590
Calculated density, g/cm3: 7.7

Cell lengths 3.7623, 3.7623, 6.4898 Å; angles 106.85, 106.85, 90.00 degrees
└──
-- Back to the article --
Long ago, when Anansi was but a cub, he grew curious and chose to test his abilities. Under the cover of night, he snuck into Ponyville and began weaving a giant web over the town. For hours, he played around with ponies memories, switching them around and collecting the more interesting ones. Every memory a tiny bell that connected to an endless sea of bells by little strings. Ring one and the string would reverberate to another. One thought leading to another.
His main test subjects were the former elements of harmony. He’d read their journal and was curious to see how they’d fare if he messed with their memories. Would they change? Just how much had their experiences effected who they were now?
**Crystal structures, as found in the file:**
********
# AlTlPb2 (PBE, optimized geometry)
# * size of the total moment: 0.00 μB per cell
# * uncorrected energy: -0.1201 hartree per atom
data_AlTlPb2
_chemical_formula_sum 'Al1 Tl1 Pb2'
_cell_length_a 3.533
_cell_length_b 4.091
_cell_length_c 7.905
_cell_angle_alpha 90.00
_cell_angle_beta 90.01
_cell_angle_gamma 90.00
_space_group_name_H-M_alt 'P 1 2/m 1'
_space_group_IT_number 10
_space_group_name_Hall '-P 2y'
loop_
_atom_site_label
_atom_site_fract_x
_atom_site_fract_y
_atom_site_fract_z
_atom_site_occupancy
Al1 0.000 0.000 0.000 1
Tl1 0.000 0.000 0.500 1
Pb1 0.498 0.500 0.790 1


(1)
ReC3, optimized geometry, DFT PBE; ΔE to the lowest computed polymorph = 174 meV/atom; energy of formation = 1.01 eV per atom
1.0
-3.2387 1.4063 1.8746
-3.1759 -1.5607 -1.8597
3.2452 -1.3123 1.9306
Re C
1 3
Cartesian
0.0049 0.0708 2.8648
0.0360 -1.4174 0.8082
1.1663 -1.3681 1.7021
-1.0913 -1.4224 1.7073

=====

(2)
ReC3, optimized geometry, DFT PBE; ΔE to the lowest computed polymorph = 1230 meV/atom; energy of formation = 2.06 eV per atom
1.0
3.1234 -0.0013 0.0000
-2.1853 2.2317 0.0000
0.0000 0.0000 5.7320
C Re
3 1
Cartesian
0.0000 0.0000 5.3366
0.0000 0.0000 3.2614
0.4691 1.1152 4.2990
0.4691 1.1152 1.4330

=====

(3)
ReC5, optimized geometry, DFT PBE; ΔE to the lowest computed polymorph = 146 meV/atom; energy of formation = 0.96 eV per atom
1.0
1.3402 3.9311 -0.0052
-1.3402 3.9311 -0.0052
0.0000 0.0590 4.4502
C Re
5 1
Cartesian
0.0000 4.8898 2.9193
0.0000 3.4286 2.7317
0.0000 7.0364 1.8905
0.0000 5.5856 1.6430
0.0000 7.4975 0.4715
0.0000 1.8869 4.3966

=====

(4)
Re2C, optimized geometry, DFT PBE; ΔE to the lowest computed polymorph = 494 meV/atom; energy of formation = 0.46 eV per atom
1.0
-3.8580 -3.2346 -0.3199
1.4840 -2.1947 4.2930
-1.6729 1.8449 1.5214
Re C
4 2
Cartesian
-1.8756 -4.2895 3.1390
-3.1449 -2.0105 1.7789
-0.4984 -1.1397 0.8340
-0.9021 -1.5739 3.7156
-0.8365 0.9224 0.7607
-1.1870 -2.7146 1.9865

=====

(5)
Re2C, optimized geometry, DFT PBE; ΔE to the lowest computed polymorph = 1259 meV/atom; energy of formation = 1.23 eV per atom
1.0
11.3955 0.0067 0.0000
10.0147 5.4370 0.0000
-10.7051 -2.7218 2.8016
C Re
4 8
Cartesian
5.8069 2.9218 1.4008
0.7995 0.2033 0.0000
20.6107 5.2404 0.0000
4.2079 2.5152 1.4008
7.6936 0.5108 1.4008
4.9625 1.2617 0.0000
12.7009 3.2293 0.0000
8.7093 2.2144 0.0000
16.4477 4.1820 0.0000
3.7019 -0.5041 1.4008
0.0449 1.4568 1.4008
9.9698 3.9803 1.4008

=====

(6)
Re5C, optimized geometry, DFT PBE; ΔE to the lowest computed polymorph = 172 meV/atom; energy of formation = 0.33 eV per atom
1.0
-0.1189 0.8813 2.6086
-2.3751 -1.3538 0.3491
5.3295 -8.5432 3.1290
Re C
5 1
Cartesian
0.4271 -2.9199 2.4618
0.6671 -1.0694 0.3917
4.6624 -7.4738 2.7373
2.4084 -6.0959 3.6250
2.6648 -4.2716 1.5645
-1.2470 -0.2363 1.4789

=====

(7)
ReC3, optimized geometry, DFT PBE; ΔE to the lowest computed polymorph = 1855 meV/atom; energy of formation = 2.69 eV per atom
1.0
-1.2196 -3.1888 -0.9261
1.8729 0.1541 -2.9970
2.1350 -1.1863 1.2732
C Re
3 1
********
He had to know.
* For Rarity, he chose to take from her her lessons of humility and maturity, making her more like her season 1 self. She was dramatic as usual but less mature and pleasant to be around. Upon recalling her marriage to the great Lord Fancy Pants, she chose to spend the day showing off her hubby and their wealth. Fancy was very disturbed by this and some words were exchanged over the matter.
Neither ever talks about it since it was… a bad day for everyone.
For Fluttershy, Anansi saw how many baby steps the mare had taken in her journey to being more assertive. He admired every step, no matter how minute, so he took them all. This left Fluttershy a nervous wreak, scared of everyone and everything, including her own husbands and children. The entire day was spent with her hiding somewhere while her family went looking for her.
Rainbow Dash was one he had only a little interest in. She was loud and brash but surprisingly friendly outside of competition. Yet she wasn’t always like that. She’d learned to curb her enthusiasm and accept other ponies weaknesses. So he took those lessons from her, making her arrogant and confrontational, pushing her own son into athletics despite her previous acceptance of his disinterest.
It’d take weeks before Tranquil would stop cowering in front of his mother, afraid she’ll demand he ‘try harder’ again.
Pinkie was the least noticeable to those outside her family. She was still her bubbly self even after Anansi manipulated her memory. Since he wanted to test how ponies in their lives affected them, he chose to remove the memory of her falling out with her father. He wanted to see how much being nearly disowned affected her. Surprisingly, not much though her son was wary of her that day. When asked, he’d just say that his mothers smile just wasn’t right. She smiled but it felt fake.
On the same branch, Anasi continued to take ponies from his test subjects memory, wanted to see the aftermath. Applejack was next and he chose to remove all the memories of her husband after they’d gotten together. So Applejack ended up waking up to the stallion who conned her various times, in her home making breakfast. As expected, she exploded at him, demanding to know how he’d gotten into her home. When Sweet sleepily asked why she was yelling, contradictory memories flooded into her, leaving her with a major headache. She chose to work through it, ignoring her husband and convinced this was some kind of scheme.
**Inserted here: crystal structures:**
........
{"formula": "PaZnO3", "functional": "PBE-GGA", "state": "relaxed", "formation_energy_uncorrected_kj_per_mol_atoms": -238.1, "n_ef_per_ev_cell": 5.18, "lattice_angstrom": [[3.3873, -0.0160, 0.0087], [-0.0145, 6.0668, 2.3077], [-0.0536, 0.0917, 6.4899]], "species": ["Pa", "Pa", "Zn", "Zn", "O", "O", "O", "O", "O", "O"], "frac_coords": [[0.9789, 0.3679, 0.8069], [0.5366, 0.8498, 0.2888], [0.2575, 0.3132, 0.3435], [0.2576, 0.9046, 0.7521], [0.4879, 0.2203, 0.6592], [0.0274, 0.9976, 0.4365], [0.5016, 0.6479, 0.7110], [0.5017, 0.2719, 0.0868], [0.0137, 0.9458, 0.0088], [0.0137, 0.5699, 0.3848]]}

{"formula": "CaAs3PdRh2", "functional": "PBE-GGA", "state": "relaxed", "formation_energy_ev_per_atom": -0.374, "n_ef_per_ev_cell": 8.00, "lattice_angstrom": [[-0.9553, 7.3943, 1.3737], [-1.0245, 2.6037, 7.0461], [5.3363, 4.0819, 3.5126]], "species": ["Ca", "Ca", "As", "As", "As", "As", "As", "As", "Pd", "Pd", "Rh", "Rh", "Rh", "Rh"], "frac_coords": [[0.7310, 0.7310, 0.7310], [0.2690, 0.2690, 0.2690], [0.1971, 0.7639, 0.7639], [0.7639, 0.1971, 0.7639], [0.7639, 0.7639, 0.1971], [0.8029, 0.2361, 0.2361], [0.2361, 0.8029, 0.2361], [0.2361, 0.2361, 0.8029], [0.4211, 0.4211, 0.4211], [0.5789, 0.5789, 0.5789], [0.0000, 0.0000, 0.0000], [0.5000, 0.0000, 0.0000], [0.0000, 0.5000, 0.0000], [0.0000, 0.0000, 0.5000]]}

{"formula": "Tl7Hg2Bi3", "functional": "PBE-GGA", "state": "relaxed", "formation_energy_ev_per_atom": 0.027, "n_ef_per_ev_cell": 6.05, "lattice_angstrom": [[-1.3184, -3.2431, 0.0025], [-0.1153, 0.0417, -6.7170], [15.1199, -6.1424, 5.8384]], "species": ["Tl", "Tl", "Tl", "Tl", "Tl", "Tl", "Tl", "Hg", "Hg", "Bi", "Bi", "Bi"], "frac_coords": [[0.5000, 0.7361, 0.4826], [0.5000, 0.2639, 0.5174], [0.0000, 0.8505, 0.1623], [0.0000, 0.0000, 0.0000], [0.0000, 0.1495, 0.8377], [0.5000, 0.6331, 0.8141], [0.5000, 0.3669, 0.1859], [0.5000, 0.8536, 0.3227], [0.5000, 0.1464, 0.6773], [0.5000, 0.5000, 0.0000], [0.0000, 0.3190, 0.3495], [0.0000, 0.6810, 0.6505]]}

{"formula": "Ti12Ga2Ir5", "functional": "PBE-GGA", "state": "relaxed", "formation_energy_ev_per_atom": -0.340, "n_ef_per_ev_cell": 21.21, "lattice_angstrom": [[-1.5796, 1.5069, 5.6270], [4.6878, -5.8784, -0.3468], [5.7700, 5.7762, 0.0729]], "species": ["Ti", "Ti", "Ti", "Ti", "Ti", "Ti", "Ti", "Ti", "Ti", "Ti", "Ti", "Ti", "Ga", "Ga", "Ir", "Ir", "Ir", "Ir", "Ir"], "frac_coords": [[0.9239, 0.8478, 0.1794], [0.0523, 0.6280, 0.8664], [0.5757, 0.6280, 0.8664], [0.1215, 0.7160, 0.4246], [0.5945, 0.7160, 0.4246], [0.4809, 0.9618, 0.6818], [0.5191, 0.0382, 0.3182], [0.8785, 0.2840, 0.5754], [0.4055, 0.2840, 0.5754], [0.9477, 0.3720, 0.1336], [0.4243, 0.3720, 0.1336], [0.0761, 0.1522, 0.8206], [0.7056, 0.0000, 0.0000], [0.2944, 0.0000, 0.0000], [0.2821, 0.5643, 0.6346], [0.3422, 0.6844, 0.1270], [0.0000, 0.0000, 0.5000], [0.6578, 0.3156, 0.8730], [0.7179, 0.4357, 0.3654]]}

* * * * *

Entry 1:
A plane-wave DFT calculation with GGA-PBE was carried out for crystalline MnBTe2I at its relaxed geometry.

```
data_MnBTe2I
........
Cause why in Equestria would she ever marry that two bit swindler.
- Twilight suffered the most, entirely because Anansi in his young mind, wanted to push further. Too far. He quickly learned that not only experiences but those around you affect how one turns out. So far, he’d just cut a few strings and lefts holes in the towns ponies memory, allowing them to fill in the blanks themselves. But what if he didn’t let the gap fill? How would it affect that pony? But he couldn’t let it be something little like someone around them everyday. No, it wouldn’t work if he did that. No, he had to dig deep and find something meaningful, a foundation of ones self.
So, he took Twilight’s memories of Princess Celestia, a hole that she couldn’t fill.
Due to a slight mishap, mainly because Anansi was too excited to be more careful, Twilight was the only one in Ponyville aware that her memories had been tampered with. She was left hollow and desperate, knowing she had lost something important but unable to recall who they were. She had loved this pony, had rested her very identity and life on their shoulders and now they were missing. Not only from the world but from her head.
Twilight had spent a lot of that day walking about aimlessly, searching for something she couldn’t recall and growing more and more anxious as the hollow feeling grew bigger.